**Entries:**
~~~
1.
C8H9NO2S2 | ωB97M-V/def2-TZVPD

CARTESIAN COORDINATES (ANGSTROEM)
N (0.01948, 0.14931, 1.24920)
C (-1.11520, -0.65346, 1.24929)
O (-2.28998, -0.27247, 1.24934)
C (-0.65054, -2.08578, 1.24931)
C (0.68482, -2.08742, 1.24932)
C (1.15744, -0.65450, 1.24930)
O (2.32516, -0.28363, 1.24934)
H (-1.32562, -2.94215, 1.24930)
H (1.35524, -2.94974, 1.24931)
C (-1.10953, 6.20469, 1.24934)
C (-0.45087, 5.66299, 0.00790)
S (-0.23407, 3.90197, -0.23270)
C (-0.17360, 3.11158, 1.24883)
S (-0.23454, 3.90058, 2.73098)
C (-0.45146, 5.66205, 2.49078)
H (-0.94116, 7.28838, 1.24921)
H (-2.18672, 6.05682, 1.25000)
H (-0.95885, 5.99513, -0.90631)
H (0.58294, 6.01457, -0.02260)
H (-0.08551, 2.00289, 1.25020)
H (0.58159, 6.01485, 2.52138)
H (-0.95820, 5.99590, 3.40489)

Calculated values
orbital gap	5.966	eV
HOMO level	-7.73	eV

2.
C8H9NO3 | ωB97M-V/def2-TZVPD

CARTESIAN COORDINATES (ANGSTROEM)
C (2.67124, -0.32900, 0.39841)
C (1.55509, -1.10333, 0.09853)
C (2.51713, 1.03721, 0.30268)
C (0.33670, -0.63663, -0.42311)
C (1.17864, 1.59335, -0.12082)
C (-0.80870, -1.57713, -0.58699)
C (0.10656, 0.68516, -0.60764)
C (-2.17387, -0.30170, 1.03418)
N (-2.82710, 0.44222, 0.13319)
O (-3.40418, 1.45803, 0.57323)
O (-2.93581, 0.19958, -1.08892)
O (-1.57064, -1.46150, 0.64751)
H (3.66583, -0.71138, 0.60800)
H (1.66603, -2.25442, 0.20708)
H (3.30979, 1.73218, 0.43271)
H (0.66944, 2.15601, 0.72380)
H (1.29937, 2.16220, -1.06996)
H (-1.52378, -1.30803, -1.54599)
H (-0.77964, -2.70479, -0.56085)
H (-0.64472, 1.09037, -1.27144)
H (-2.30740, -0.16837, 2.11639)

Calculated values
orbital gap (spin up / spin down)	5.401 / 8.717	eV
HOMO level (spin up / spin down)	-7.22 / -9.18	eV

3.
C8H9NO4 | ωB97M-V/def2-TZVPD

CARTESIAN COORDINATES (ANGSTROEM)
C (0.27347, -0.59096, -0.66318)
C (1.47354, -0.64330, -0.47108)
C (-1.05726, 1.62663, -0.32156)
C (3.63878, -0.00556, 0.34006)
C (-1.71558, 0.17964, 1.40952)
C (-1.17658, -0.30045, -0.79486)
C (-3.47509, -0.54579, 0.00138)
C (2.86398, -0.72145, -0.75954)
N (-2.02705, -0.63828, 0.27068)
O (3.28961, 0.12435, 1.45960)
O (-0.72144, 2.47358, -1.08443)
O (4.83789, 0.34748, -0.10692)
O (-1.46584, 1.58355, 0.89165)
H (-2.60500, 0.34628, 1.98811)
H (-0.84724, -0.09422, 1.92504)
H (-1.57895, -0.37179, -1.83236)
H (-3.95465, -1.23644, -0.80693)
H (-4.04138, -0.65916, 0.97072)
H (-3.59534, 0.42818, -0.55872)
H (3.31703, -1.66825, -0.67226)
H (3.11303, -0.38174, -1.67670)
H (5.45407, 0.74770, 0.49180)

Calculated values
orbital gap	8.787	eV
HOMO level	-8.13	eV

4.
C8H9O2PS | ωB97M-V/def2-TZVPD

CARTESIAN COORDINATES (ANGSTROEM)
C (2.53182, -1.47300, 1.39193)
P (0.77924, -1.09896, 1.68259)
O (0.88023, 0.52915, 1.99594)
S (-0.18713, -2.07630, 3.01594)
C (0.28751, -1.19992, -0.15612)
O (0.58143, -2.21183, -0.72907)
C (-0.54492, -0.07115, -0.81139)
C (-0.33722, 0.30096, -2.19033)
C (-1.08482, 1.25046, -2.82178)
C (-2.13111, 1.81141, -2.08735)
C (-2.39708, 1.45289, -0.76947)
C (-1.55642, 0.58968, -0.07425)
H (2.98978, -0.62308, 0.69446)
H (3.07166, -1.64568, 2.33203)
H (2.48207, -2.33310, 0.75709)
H (0.19509, 0.77848, 2.66434)
H (0.67578, 0.04403, -2.67880)
H (-0.88313, 1.61468, -3.76142)
H (-2.71635, 2.54784, -2.75949)
H (-3.25695, 1.72091, -0.19126)
H (-1.83704, 0.26109, 0.94827)

Calculated values
SMILES	C[P@](O)(=S)C(=O)c1ccccc1
orbital gap	8.735	eV
HOMO level	-8.98	eV

~~~~~

<one>
DFT (ωB97M-V with the def2-TZVPD basis set) results for a single C4H5NO2 molecule.

Element x y z (Å)
O (2.412, -1.569, 0.341)
C (2.004, -0.533, -0.203)
C (0.699, -0.074, -0.104)
C (-0.466, -0.611, 0.669)
N (-1.520, 0.244, 0.075)
C (-0.976, 1.244, -0.600)
O (0.287, 1.147, -0.718)
H (2.672, 0.100, -0.831)
H (-2.513, 0.086, 0.139)
H (-0.666, -1.675, 0.496)
H (-0.426, -0.446, 1.761)
H (-1.506, 2.086, -1.026)

Properties
lowest unoccupied orbital energy = 0.223 eV
frontier orbital gap = 7.13 eV

***

<two>
DFT (ωB97M-V with the def2-TZVPD basis set) results for a single C4H5NO2 molecule.

Element x y z (Å)
O (-1.465, 0.957, -0.313)
C (-0.109, 1.265, -0.458)
~~~
**Activity:**
Now filter the contents further up: keep the lines with the word "SMILES".
**Result:**
SMILES	C[P@](O)(=S)C(=O)c1ccccc1